Source >
........
Entry from the Open Molecules 2025 dataset: C15H22N4O3S in the gas phase at a distorted geometry (the ωB97M-V functional and the def2-TZVPD basis).

Last column: Mulliken charge in e.
Geometry (Å):
O  4.1580  0.0705  0.7615  -0.659
H  -0.7031  -0.3162  -3.5027  0.074
H  -2.3444  1.4895  1.0453  0.406
C  -3.0509  -1.1244  0.2829  -1.046
C  0.6022  -2.0376  -3.3981  -0.628
C  2.3261  0.0943  3.8524  0.470
N  1.1925  0.5835  -0.0936  0.216
C  -3.7110  0.2029  0.0311  0.489
H  -0.1922  -2.7875  -3.4146  0.410
H  -0.7832  -0.3772  4.1537  0.292
H  0.3624  0.2896  5.3506  0.413
C  -3.4525  2.6848  -0.3967  -1.526
H  -3.7843  -1.8355  0.6535  0.403
H  2.7880  -0.8250  -2.7099  0.529
H  0.1799  -1.4586  -1.3709  -0.139
H  -0.5406  1.3780  4.2582  0.305
H  -0.2865  -1.0102  -5.0694  0.401
C  1.0319  -1.8290  -1.9449  -0.065
H  4.2321  -0.1295  3.2183  0.236
C  0.8121  0.4561  2.0749  0.740
H  -2.2283  -1.0205  0.9861  0.233
H  -2.7666  3.5259  -0.3350  0.419
H  0.8984  -0.0462  -4.1994  0.270
N  -0.3824  0.6886  1.4903  -0.428
N  3.2939  0.0298  2.8673  -0.059
O  2.6029  -0.0359  5.0216  -0.657
C  3.1849  0.1541  1.4806  -0.006
H  1.4449  -2.4417  -3.9634  0.317
H  -4.3082  2.8723  0.2478  0.405
H  2.8996  -1.2464  -1.0100  0.407
C  0.0981  -0.7719  -4.0805  -0.908
H  1.1149  0.9752  -2.1056  0.557
N  1.0384  0.3146  3.4086  -0.020
H  1.2987  -2.8042  -1.5322  0.316
H  2.7200  1.1701  -1.3425  0.335
C  -2.7705  1.4018  0.0408  0.411
C  1.8206  0.5500  -1.3894  -1.183
H  -3.8116  2.5927  -1.4193  0.346
O  -4.8928  0.3354  -0.1470  -0.562
C  2.2216  -0.8755  -1.7799  -0.728
C  -0.0532  0.4077  4.3521  -1.036
S  -1.3092  1.0696  -1.0263  -0.182
C  -0.1122  0.7607  0.1929  -0.016
H  -2.6566  -1.5025  -0.6600  0.213
C  1.8181  0.3778  1.1213  0.238

The calculation puts the orbital gap at 8.8 eV. As for the total charge: 0. As for the SMILES: CCCCCn1c(S[C@@H](C)C(C)=O)nc2c1c(=O)[nH]c(=O)n2C. The calculation puts the highest occupied orbital energy at -8.3 eV. Its LUMO energy is 0.453 eV.

Entry from the Open Molecules 2025 dataset: C15H22N4OS in the gas phase at a distorted geometry (the ωB97M-V functional and the def2-TZVPD basis).

Last column: Mulliken charge in e.
Geometry (Å):
H  3.8211  0.9956  0.2533  0.327
N  -2.5342  2.5222  0.1013  -1.047
S  -3.2726  0.9165  -2.5519  -0.236
H  -1.9445  -0.5231  -3.9244  0.399
H  -0.2539  3.2098  1.1418  0.296
C  1.2981  -2.8363  1.6613  0.333
C  3.2675  0.9492  1.1880  -1.405
C  -2.0183  -2.4183  0.2217  -0.572
H  0.0475  -0.9046  -2.6426  0.345
H  1.2763  1.3326  1.9130  0.276
C  1.8337  1.4199  0.9764  0.374
H  2.3461  2.9466  -0.4443  0.367
H  1.0891  -2.8242  3.8004  0.342
H  -2.5788  -2.8448  1.0385  0.436
C  0.3633  3.3539  0.2513  -0.697
C  1.7928  2.8669  0.4918  -0.931
H  1.2413  -4.4351  3.0972  0.347
N  0.3004  2.1911  -1.9613  -0.476
H  -2.9980  3.4192  -0.0401  0.227
H  3.7723  1.5797  1.9170  0.360
H  1.1893  -1.8003  -0.6902  0.385
H  0.3780  4.4224  0.0157  0.332
H  1.8077  -3.4256  0.8862  0.333
H  -3.4936  -1.2712  -3.4164  0.567
C  -0.5351  -1.3375  -1.8435  -0.426
H  3.2923  -0.0763  1.5512  0.336
C  -1.7552  1.6307  -2.0872  0.438
C  -2.6135  -0.7194  -3.0893  -1.325
H  2.6655  -3.3895  3.2234  0.425
C  -0.2700  2.6222  -0.8714  0.808
C  -0.6249  -2.3798  0.3212  0.662
C  -2.6525  -1.9123  -0.8898  -0.550
N  -1.5976  2.2918  -0.8969  0.472
C  -1.9191  -1.3621  -1.9387  0.264
H  -3.7317  -1.9309  -0.9476  0.378
O  -0.1018  -2.8855  1.4675  -0.416
H  -3.2388  1.7866  0.0571  0.272
C  1.5954  -3.4097  3.0378  -1.485
H  2.2685  3.5127  1.2329  0.430
H  1.3451  0.7846  0.2348  -0.084
C  0.1123  -1.8407  -0.7278  -0.210
N  -0.6168  1.5696  -2.7170  -0.526
H  1.6473  -1.7966  1.5996  -0.145

The calculation puts the orbital gap at 8.8 eV. As for the total charge: 0. As for the SMILES: CCCCc1nnc(SCc2ccc(OCC)cc2)n1N. The calculation puts the highest occupied orbital energy at -8.2 eV. Its LUMO energy is 0.542 eV.
........

Job >
Could you filter the listing further above: keep the lines with the word "CCCCc1nnc"?

Done >
The calculation puts the orbital gap at 8.8 eV. As for the total charge: 0. As for the SMILES: CCCCc1nnc(SCc2ccc(OCC)cc2)n1N. The calculation puts the highest occupied orbital energy at -8.2 eV. Its LUMO energy is 0.542 eV.